### Contents
~~~
Starting from DFT lattice parameters and positions (PBE), the X-ray diffraction stick pattern of Tb3Pr4Sc2 was calculated for Cu Kα.
Kinematic intensities with the Lorentz-polarization factor, no thermal factor.

Cell and atoms:
```
data_Tb3Pr4Sc2
_chemical_formula_sum 'Tb3 Pr4 Sc2'
_symmetry_space_group_name_H-M 'P 3 m 1'
_symmetry_Int_Tables_number 156
_cell_length_a 3.5729
_cell_length_b 3.5729
_cell_length_c 26.4496
_cell_angle_alpha 90.00
_cell_angle_beta 90.00
_cell_angle_gamma 120.00
loop_
_symmetry_equiv_pos_as_xyz
'x,y,z'
'-y,x-y,z'
'-x+y,-x,z'
'-y,-x,z'
'-x+y,y,z'
'x,x-y,z'
loop_
_atom_site_label
_atom_site_type_symbol
_atom_site_fract_x
_atom_site_fract_y
_atom_site_fract_z
_atom_site_occupancy
Tb1 Tb 0.0000 0.0000 0.0000 1
Tb2 Tb 0.0000 0.0000 0.3345 1
Tb3 Tb 0.6667 0.3333 0.6800 1
Pr1 Pr 0.0000 0.0000 0.5683 1
Pr2 Pr 0.0000 0.0000 0.7943 1
Pr3 Pr 0.6667 0.3333 0.2242 1
Pr4 Pr 0.6667 0.3333 0.4481 1
Sc1 Sc 0.6667 0.3333 0.0996 1
Sc2 Sc 0.6667 0.3333 0.8990 1
```

Main lines, by intensity (10 to 90 degrees two-theta):
| two_theta | d_spacing | Rel. int. |
| --- | --- | --- |
| 31.9 | 2.803 | 100 |
| 33.6 | 2.671 | 79 |
| 28.9 | 3.094 | 45 |
| 30.4 | 2.939 | 44 |
| 60.7 | 1.527 | 37 |
| 51.1 | 1.786 | 36 |
| 42.4 | 2.131 | 27 |
| 53.9 | 1.700 | 22 |
| 61.6 | 1.506 | 15 |
| 62.6 | 1.485 | 13 |

----------

Structure and theoretical PXRD pattern of KSrMnSnO6 (DFT lattice parameters and positions (GGA+U); Cu Kα, 1.54184 Å).

Structural model:
abc: 5.6740 5.6740 5.6740
angles: 60.00 60.00 60.00
Fractional coordinates of all 10 atoms:
K  0.0000  0.0000  0.0000
Sr  0.5000  0.5000  0.5000
Mn  0.2500  0.2500  0.2500
Sn  0.7500  0.7500  0.7500
O  0.0081  0.0081  0.4919
O  0.0081  0.4919  0.0081
O  0.0081  0.4919  0.4919
O  0.4919  0.0081  0.0081
O  0.4919  0.0081  0.4919
O  0.4919  0.4919  0.0081

Most intense lines, 2θ from 15° to 90°, in order of rising 2θ:
two_theta, Rel. int.
19.16, 16
22.16, 11
31.54, 100
37.16, 12
45.20, 38
49.51, 6
56.15, 39
65.84, 23
74.84, 17
83.46, 8
~~~

### Request
The reader should set down all of the block further up word for word.

### Result
Starting from DFT lattice parameters and positions (PBE), the X-ray diffraction stick pattern of Tb3Pr4Sc2 was calculated for Cu Kα.
Kinematic intensities with the Lorentz-polarization factor, no thermal factor.

Cell and atoms:
```
data_Tb3Pr4Sc2
_chemical_formula_sum 'Tb3 Pr4 Sc2'
_symmetry_space_group_name_H-M 'P 3 m 1'
_symmetry_Int_Tables_number 156
_cell_length_a 3.5729
_cell_length_b 3.5729
_cell_length_c 26.4496
_cell_angle_alpha 90.00
_cell_angle_beta 90.00
_cell_angle_gamma 120.00
loop_
_symmetry_equiv_pos_as_xyz
'x,y,z'
'-y,x-y,z'
'-x+y,-x,z'
'-y,-x,z'
'-x+y,y,z'
'x,x-y,z'
loop_
_atom_site_label
_atom_site_type_symbol
_atom_site_fract_x
_atom_site_fract_y
_atom_site_fract_z
_atom_site_occupancy
Tb1 Tb 0.0000 0.0000 0.0000 1
Tb2 Tb 0.0000 0.0000 0.3345 1
Tb3 Tb 0.6667 0.3333 0.6800 1
Pr1 Pr 0.0000 0.0000 0.5683 1
Pr2 Pr 0.0000 0.0000 0.7943 1
Pr3 Pr 0.6667 0.3333 0.2242 1
Pr4 Pr 0.6667 0.3333 0.4481 1
Sc1 Sc 0.6667 0.3333 0.0996 1
Sc2 Sc 0.6667 0.3333 0.8990 1
```

Main lines, by intensity (10 to 90 degrees two-theta):
| two_theta | d_spacing | Rel. int. |
| --- | --- | --- |
| 31.9 | 2.803 | 100 |
| 33.6 | 2.671 | 79 |
| 28.9 | 3.094 | 45 |
| 30.4 | 2.939 | 44 |
| 60.7 | 1.527 | 37 |
| 51.1 | 1.786 | 36 |
| 42.4 | 2.131 | 27 |
| 53.9 | 1.700 | 22 |
| 61.6 | 1.506 | 15 |
| 62.6 | 1.485 | 13 |

----------

Structure and theoretical PXRD pattern of KSrMnSnO6 (DFT lattice parameters and positions (GGA+U); Cu Kα, 1.54184 Å).

Structural model:
abc: 5.6740 5.6740 5.6740
angles: 60.00 60.00 60.00
Fractional coordinates of all 10 atoms:
K  0.0000  0.0000  0.0000
Sr  0.5000  0.5000  0.5000
Mn  0.2500  0.2500  0.2500
Sn  0.7500  0.7500  0.7500
O  0.0081  0.0081  0.4919
O  0.0081  0.4919  0.0081
O  0.0081  0.4919  0.4919
O  0.4919  0.0081  0.0081
O  0.4919  0.0081  0.4919
O  0.4919  0.4919  0.0081

Most intense lines, 2θ from 15° to 90°, in order of rising 2θ:
two_theta, Rel. int.
19.16, 16
22.16, 11
31.54, 100
37.16, 12
45.20, 38
49.51, 6
56.15, 39
65.84, 23
74.84, 17
83.46, 8